(What to do)
What is needed: set down the whole of the entries underneath unchanged.

(Contents)
[1]
# TlAg
Calculated X-ray powder pattern, Cu Kα (λ = 1.5418 Å). Input: a DFT-relaxed cell (PBE, Alexandria).

Atomic structure:
Lattice parameters (Å, degrees): 3.3582 17.0104 5.0314 90.00 90.00 90.00
Space group Pmmn (No. 59, origin choice 2)
Unique sites:
Tl (0.2500, 0.0634, 0.2466) [4 per cell]
Tl (0.2500, 0.7500, 0.8497) [2 per cell]
Ag (0.2500, 0.2500, 0.6374) [2 per cell]
Ag (0.2500, 0.6145, 0.2576) [4 per cell]

Principal peaks in the range 2θ from 15° to 90°, in order of falling intensity:
two_theta	d (Å)	I (rel.)
33.78	2.654	100
31.75	2.818	55
38.56	2.335	51
31.56	2.835	46
35.69	2.516	35
32.04	2.793	26
54.66	1.679	18
54.22	1.692	18
37.64	2.390	17
52.84	1.733	16

=====

[2]
# NpGaNi4Ge2
Calculated X-ray powder pattern, Cu Kα (λ = 1.5418 Å). Input: a DFT-relaxed cell (PBE, Alexandria).

Atomic structure:
Lattice parameters (Å, degrees): 4.0504 4.0504 24.7232 90.00 90.00 120.00
Space group R-3m (No. 166, hexagonal axes)
Unique sites:
Np (0.0000, 0.0000, 0.0000) [3 per cell]
Ga (0.0000, 0.0000, 0.5000) [3 per cell]
Ni (0.0000, 0.0000, 0.1349) [6 per cell]
Ni (0.0000, 0.0000, 0.4045) [6 per cell]
Ge (0.0000, 0.0000, 0.2493) [6 per cell]

Principal peaks in the range 2θ from 15° to 90°, in order of falling intensity:
two_theta	d (Å)	I (rel.)
44.75	2.025	100
38.84	2.319	99
36.09	2.489	41
29.27	3.051	33
31.26	2.861	28
26.41	3.375	27
60.72	1.525	26
64.52	1.444	26
78.50	1.218	25
82.51	1.169	19

=====

[3]
# NdSmCu
Calculated X-ray powder pattern, Cu Kα (λ = 1.5418 Å). Input: a DFT-relaxed cell (PBE, Alexandria).

Atomic structure:
Lattice parameters (Å, degrees): 3.5818 3.5818 12.6125 90.00 90.00 90.00
Space group I4mm (No. 107)
Unique sites:
Nd (0.0000, 0.0000, 0.0000) [2 per cell]
Sm (0.0000, 0.0000, 0.2780) [2 per cell]
Cu (0.0000, 0.0000, 0.6445) [2 per cell]

Principal peaks in the range 2θ from 15° to 90°, in order of falling intensity:
two_theta	d (Å)	I (rel.)
32.85	2.726	100
35.44	2.533	51
62.00	1.497	31
25.86	3.446	25
50.99	1.791	18
45.96	1.975	16
28.30	3.153	15
43.90	2.062	12
57.23	1.610	10
56.93	1.618	9

=====

[4]
# LaPm2Pr7
Calculated X-ray powder pattern, Cu Kα (λ = 1.5418 Å). Input: a DFT-relaxed cell (PBE, Alexandria).

Atomic structure:
Lattice parameters (Å, degrees): 5.6944 7.9998 16.4151 90.00 90.00 90.00
Space group Immm (No. 71)
Unique sites:
La (0.0000, 0.0000, 0.0000) [2 per cell]
Pm (0.0000, 0.0000, 0.2127) [4 per cell]
Pr (0.0000, 0.0000, 0.5000) [2 per cell]
Pr (0.0000, 0.3007, 0.3701) [8 per cell]
Pr (0.0000, 0.5000, 0.1521) [4 per cell]

Principal peaks in the range 2θ from 15° to 90°, in order of falling intensity:
two_theta	d (Å)	I (rel.)
29.05	3.074	100
31.43	2.846	79
31.86	2.809	73
27.79	3.210	45
56.21	1.636	29
31.23	2.864	27
64.63	1.442	22
37.23	2.415	20
44.89	2.019	20
54.48	1.684	17

=====

[5]
# Pa5Cd3O16
Calculated X-ray powder pattern, Cu Kα (λ = 1.5418 Å). Input: a DFT-relaxed cell (PBE, Alexandria).

Atomic structure:
Lattice parameters (Å, degrees): 11.8296 7.0845 10.0635 90.00 90.83 90.00
Space group Cm (No. 8)
Unique sites:
Pa (0.0000, 0.0000, 0.0000) [2 per cell]
Pa (0.0120, 0.5000, 0.2094) [2 per cell]
Pa (0.0917, 0.2488, 0.7094) [4 per cell]
Pa (0.3353, 0.0000, 0.4870) [2 per cell]
Cd (0.2597, 0.2492, 0.1966) [4 per cell]
Cd (0.3408, 0.5000, 0.6897) [2 per cell]
O (0.0022, 0.5000, 0.6134) [2 per cell]
O (0.0285, 0.0000, 0.6045) [2 per cell]
O (0.0779, 0.2379, 0.1002) [4 per cell]
O (0.1409, 0.0000, 0.8382) [2 per cell]
O (0.1620, 0.5000, 0.8027) [2 per cell]
O (0.1665, 0.5000, 0.3007) [2 per cell]
O (0.2157, 0.0000, 0.3371) [2 per cell]
O (0.2518, 0.2353, 0.6044) [4 per cell]
O (0.3485, 0.5000, 0.1016) [2 per cell]
O (0.3653, 0.0000, 0.1005) [2 per cell]
O (0.4250, 0.1839, 0.3535) [4 per cell]
O (0.4518, 0.2976, 0.8361) [4 per cell]

Principal peaks in the range 2θ from 15° to 90°, in order of falling intensity:
two_theta	d (Å)	I (rel.)
30.83	2.900	100
17.10	5.185	74
30.67	2.915	67
17.63	5.031	63
31.66	2.826	60
17.50	5.067	53
23.04	3.861	50
16.99	5.220	45
53.17	1.723	39

(Done)
[1]
# TlAg
Calculated X-ray powder pattern, Cu Kα (λ = 1.5418 Å). Input: a DFT-relaxed cell (PBE, Alexandria).

Atomic structure:
Lattice parameters (Å, degrees): 3.3582 17.0104 5.0314 90.00 90.00 90.00
Space group Pmmn (No. 59, origin choice 2)
Unique sites:
Tl (0.2500, 0.0634, 0.2466) [4 per cell]
Tl (0.2500, 0.7500, 0.8497) [2 per cell]
Ag (0.2500, 0.2500, 0.6374) [2 per cell]
Ag (0.2500, 0.6145, 0.2576) [4 per cell]

Principal peaks in the range 2θ from 15° to 90°, in order of falling intensity:
two_theta	d (Å)	I (rel.)
33.78	2.654	100
31.75	2.818	55
38.56	2.335	51
31.56	2.835	46
35.69	2.516	35
32.04	2.793	26
54.66	1.679	18
54.22	1.692	18
37.64	2.390	17
52.84	1.733	16

=====

[2]
# NpGaNi4Ge2
Calculated X-ray powder pattern, Cu Kα (λ = 1.5418 Å). Input: a DFT-relaxed cell (PBE, Alexandria).

Atomic structure:
Lattice parameters (Å, degrees): 4.0504 4.0504 24.7232 90.00 90.00 120.00
Space group R-3m (No. 166, hexagonal axes)
Unique sites:
Np (0.0000, 0.0000, 0.0000) [3 per cell]
Ga (0.0000, 0.0000, 0.5000) [3 per cell]
Ni (0.0000, 0.0000, 0.1349) [6 per cell]
Ni (0.0000, 0.0000, 0.4045) [6 per cell]
Ge (0.0000, 0.0000, 0.2493) [6 per cell]

Principal peaks in the range 2θ from 15° to 90°, in order of falling intensity:
two_theta	d (Å)	I (rel.)
44.75	2.025	100
38.84	2.319	99
36.09	2.489	41
29.27	3.051	33
31.26	2.861	28
26.41	3.375	27
60.72	1.525	26
64.52	1.444	26
78.50	1.218	25
82.51	1.169	19

=====

[3]
# NdSmCu
Calculated X-ray powder pattern, Cu Kα (λ = 1.5418 Å). Input: a DFT-relaxed cell (PBE, Alexandria).

Atomic structure:
Lattice parameters (Å, degrees): 3.5818 3.5818 12.6125 90.00 90.00 90.00
Space group I4mm (No. 107)
Unique sites:
Nd (0.0000, 0.0000, 0.0000) [2 per cell]
Sm (0.0000, 0.0000, 0.2780) [2 per cell]
Cu (0.0000, 0.0000, 0.6445) [2 per cell]

Principal peaks in the range 2θ from 15° to 90°, in order of falling intensity:
two_theta	d (Å)	I (rel.)
32.85	2.726	100
35.44	2.533	51
62.00	1.497	31
25.86	3.446	25
50.99	1.791	18
45.96	1.975	16
28.30	3.153	15
43.90	2.062	12
57.23	1.610	10
56.93	1.618	9

=====

[4]
# LaPm2Pr7
Calculated X-ray powder pattern, Cu Kα (λ = 1.5418 Å). Input: a DFT-relaxed cell (PBE, Alexandria).

Atomic structure:
Lattice parameters (Å, degrees): 5.6944 7.9998 16.4151 90.00 90.00 90.00
Space group Immm (No. 71)
Unique sites:
La (0.0000, 0.0000, 0.0000) [2 per cell]
Pm (0.0000, 0.0000, 0.2127) [4 per cell]
Pr (0.0000, 0.0000, 0.5000) [2 per cell]
Pr (0.0000, 0.3007, 0.3701) [8 per cell]
Pr (0.0000, 0.5000, 0.1521) [4 per cell]

Principal peaks in the range 2θ from 15° to 90°, in order of falling intensity:
two_theta	d (Å)	I (rel.)
29.05	3.074	100
31.43	2.846	79
31.86	2.809	73
27.79	3.210	45
56.21	1.636	29
31.23	2.864	27
64.63	1.442	22
37.23	2.415	20
44.89	2.019	20
54.48	1.684	17

=====

[5]
# Pa5Cd3O16
Calculated X-ray powder pattern, Cu Kα (λ = 1.5418 Å). Input: a DFT-relaxed cell (PBE, Alexandria).

Atomic structure:
Lattice parameters (Å, degrees): 11.8296 7.0845 10.0635 90.00 90.83 90.00
Space group Cm (No. 8)
Unique sites:
Pa (0.0000, 0.0000, 0.0000) [2 per cell]
Pa (0.0120, 0.5000, 0.2094) [2 per cell]
Pa (0.0917, 0.2488, 0.7094) [4 per cell]
Pa (0.3353, 0.0000, 0.4870) [2 per cell]
Cd (0.2597, 0.2492, 0.1966) [4 per cell]
Cd (0.3408, 0.5000, 0.6897) [2 per cell]
O (0.0022, 0.5000, 0.6134) [2 per cell]
O (0.0285, 0.0000, 0.6045) [2 per cell]
O (0.0779, 0.2379, 0.1002) [4 per cell]
O (0.1409, 0.0000, 0.8382) [2 per cell]
O (0.1620, 0.5000, 0.8027) [2 per cell]
O (0.1665, 0.5000, 0.3007) [2 per cell]
O (0.2157, 0.0000, 0.3371) [2 per cell]
O (0.2518, 0.2353, 0.6044) [4 per cell]
O (0.3485, 0.5000, 0.1016) [2 per cell]
O (0.3653, 0.0000, 0.1005) [2 per cell]
O (0.4250, 0.1839, 0.3535) [4 per cell]
O (0.4518, 0.2976, 0.8361) [4 per cell]

Principal peaks in the range 2θ from 15° to 90°, in order of falling intensity:
two_theta	d (Å)	I (rel.)
30.83	2.900	100
17.10	5.185	74
30.67	2.915	67
17.63	5.031	63
31.66	2.826	60
17.50	5.067	53
23.04	3.861	50
16.99	5.220	45
53.17	1.723	39